## Brief
Start at the top of the contents further below and reproduce each line, ending with the one that has "18.267 -4.950".
## Excerpt
┌──
Record 1
This record from the Open Molecules 2025 dataset describes 9 unconnected molecules or ions with the total composition C72H84B2F14N12P. The level of theory is ωB97M-V/def2-TZVPD.

Last column: Löwdin charge in e.
Cartesian coordinates (Å):
C 11.654 -0.197 2.999  0.025
N 12.801 -0.965 2.532  -0.095
C 14.029 -0.503 2.755  0.045
C 15.167 -1.280 2.422  0.063
C 14.961 -2.511 1.916  -0.155
C 13.660 -2.967 1.631  0.074
C 12.578 -2.222 2.012  0.052
C 16.159 -3.353 1.619  -0.139
C 16.676 -4.148 2.626  0.060
C 17.751 -4.978 2.348  0.029
N 18.267 -4.950 1.117  -0.064
C 17.767 -4.194 0.054  0.068
C 16.640 -3.452 0.305  0.058
C 19.394 -5.916 0.833  0.057
H 11.482 0.666 2.332  0.131
H 11.854 0.003 4.046  0.117
H 10.755 -0.796 3.061  0.104
H 14.064 0.544 3.170  0.182
H 16.156 -0.878 2.676  0.160
H 13.516 -3.886 1.107  0.140
H 11.553 -2.395 1.944  0.128
H 16.286 -4.040 3.634  0.149
H 18.260 -5.647 3.067  0.174
H 18.216 -4.398 -0.891  0.147
H 16.174 -2.955 -0.517  0.138
H 19.293 -6.759 1.489  0.097
H 20.310 -5.364 0.942  0.111
H 19.324 -6.305 -0.249  0.144
C -2.372 -9.595 10.949  0.067
N -1.858 -8.409 10.248  -0.088
C -2.238 -8.213 8.968  0.030
C -1.819 -7.072 8.337  0.040
C -1.067 -6.065 8.930  -0.111
C -0.842 -6.270 10.297  0.086
C -1.195 -7.500 10.873  0.020
C -0.611 -4.859 8.245  -0.142
C -1.257 -4.279 7.179  0.054
C -0.932 -2.958 6.835  0.030
N 0.143 -2.325 7.378  -0.064
C 0.894 -2.966 8.314  0.064
C 0.395 -4.138 8.838  0.037
C 0.342 -0.904 6.959  0.058
H -1.690 -9.737 11.760  0.102
H -2.297 -10.490 10.312  0.130
H -3.368 -9.314 11.318  0.136
H -2.885 -8.910 8.463  0.159
H -2.100 -7.035 7.254  0.152
H -0.496 -5.483 10.867  0.111
H -1.039 -7.667 11.938  0.171
H -2.140 -4.734 6.781  0.126
H -1.555 -2.399 6.037  0.185
H 1.754 -2.457 8.770  0.164
H 0.975 -4.649 9.580  0.135
H 1.408 -0.732 7.025  0.065
H -0.207 -0.295 7.668  0.123
H 0.103 -0.879 5.899  0.108
C -11.161 -6.487 -2.924  0.074
N -11.570 -6.807 -4.382  -0.060
C -10.615 -6.967 -5.369  0.051
C -10.978 -7.289 -6.653  0.052
C -12.332 -7.502 -6.886  -0.100
C -13.241 -7.333 -5.835  0.061
C -12.865 -7.013 -4.549  0.019
C -12.813 -7.999 -8.207  -0.111
C -12.059 -7.685 -9.357  0.044
C -12.582 -7.895 -10.600  0.026
N -13.822 -8.425 -10.732  -0.067
C -14.587 -8.745 -9.685  0.042
C -14.086 -8.511 -8.365  0.063
C -14.438 -8.752 -12.090  0.089
H -11.665 -7.140 -2.196  0.119
H -11.428 -5.469 -2.776  0.098
H -10.109 -6.717 -2.846  0.093
H -9.575 -6.831 -4.994  0.163
H -10.295 -7.570 -7.386  0.114
H -14.288 -7.352 -6.060  0.127
H -13.503 -6.808 -3.730  0.153
H -11.072 -7.306 -9.319  0.118
H -12.047 -7.582 -11.563  0.191
H -15.643 -9.099 -9.893  0.187
H -14.743 -8.865 -7.568  0.141
H -14.907 -9.689 -11.777  0.111
H -13.746 -8.744 -12.887  0.100
H -15.241 -8.114 -12.343  0.103
C 5.951 11.641 8.547  0.057
N 5.422 10.296 8.284  -0.074
C 6.220 9.420 7.680  0.024
C 5.782 8.185 7.202  0.060
C 4.455 7.857 7.336  -0.141
C 3.642 8.772 7.988  0.038
C 4.136 9.913 8.506  0.035
C 3.957 6.531 6.872  -0.110
C 4.651 5.306 7.188  0.082
C 4.050 4.146 6.751  0.037
N 2.932 4.256 5.985  -0.059
C 2.299 5.398 5.695  -0.001
C 2.851 6.572 6.061  0.028
C 2.171 3.008 5.529  0.045
H 6.459 11.955 7.629  0.123
H 6.693 11.649 9.325  0.115
H 5.085 12.265 8.791  0.117
H 7.240 9.687 7.598  0.148
H 6.438 7.420 6.760  0.148
H 2.663 8.486 8.222  0.131
H 3.582 10.653 9.159  0.185
H 5.509 5.263 7.863  0.145
H 4.314 3.065 6.973  0.127
H 1.355 5.301 5.085  0.176
H 2.400 7.533 5.863  0.147
H 2.348 2.291 6.362  0.074
H 2.696 2.556 4.648  0.120
H 1.130 3.245 5.274  0.101
C 7.016 -4.969 -13.377  -0.048
N 6.551 -3.940 -12.576  -0.163
C 5.346 -3.523 -12.911  -0.084
C 4.641 -2.434 -12.337  -0.005
C 5.224 -1.692 -11.367  -0.094
C 6.656 -2.467 -10.677  -0.260
C 7.320 -3.160 -11.857  0.016
C 4.932 -0.394 -10.827  -0.099
C 3.704 0.018 -9.963  0.031
C 3.406 1.313 -9.556  0.030
N 4.030 2.523 -10.218  -0.139
C 4.916 2.013 -11.298  0.053
C 5.412 0.735 -11.429  -0.042
C 3.598 3.744 -10.113  -0.185
H 6.537 -5.391 -14.326  0.143
└──
## Worked solution
Record 1
This record from the Open Molecules 2025 dataset describes 9 unconnected molecules or ions with the total composition C72H84B2F14N12P. The level of theory is ωB97M-V/def2-TZVPD.

Last column: Löwdin charge in e.
Cartesian coordinates (Å):
C 11.654 -0.197 2.999  0.025
N 12.801 -0.965 2.532  -0.095
C 14.029 -0.503 2.755  0.045
C 15.167 -1.280 2.422  0.063
C 14.961 -2.511 1.916  -0.155
C 13.660 -2.967 1.631  0.074
C 12.578 -2.222 2.012  0.052
C 16.159 -3.353 1.619  -0.139
C 16.676 -4.148 2.626  0.060
C 17.751 -4.978 2.348  0.029
N 18.267 -4.950 1.117  -0.064